Given.
+++
The following is a quantum chemistry calculation of 16 unconnected molecules or ions with the total composition C40H112N8O16, from OMol25.

Positions of all 176 atoms, in Å:
1 C 0.16 4.53 -0.72
2 O -0.02 5.66 -0.30
3 N -0.63 3.39 -0.37
4 N 1.10 4.23 -1.62
5 H -1.18 3.36 0.51
6 H -0.20 2.50 -0.65
7 H 1.74 4.91 -1.95
8 H 1.17 3.37 -2.12
9 C 3.85 5.05 0.45
10 O 4.53 5.10 -0.56
11 N 3.94 4.06 1.40
12 N 2.98 6.02 0.80
13 H 3.36 4.05 2.23
14 H 4.43 3.25 1.12
15 H 2.17 5.74 1.34
16 H 2.74 6.60 -0.01
17 C 6.88 2.24 0.35
18 O 5.81 1.58 0.38
19 N 8.00 1.58 0.68
20 N 7.08 3.54 -0.13
21 H 7.92 0.85 1.35
22 H 8.88 2.10 0.72
23 H 6.21 4.07 -0.43
24 H 7.89 4.05 0.32
25 C 0.06 3.24 3.17
26 O 1.15 3.75 3.24
27 N -1.11 3.77 3.72
28 N -0.12 1.97 2.64
29 H -0.97 4.76 3.74
30 H -2.01 3.41 3.45
31 H 0.73 1.58 2.21
32 H -1.10 1.62 2.57
33 C 1.00 -1.26 0.19
34 C 0.67 -0.28 -0.88
35 C -0.85 -0.01 -0.89
36 O 1.31 0.99 -0.64
37 H 0.63 -2.23 -0.05
38 H 0.70 -1.01 1.24
39 H 2.05 -1.34 0.28
40 H 0.96 -0.68 -1.85
41 H -1.14 0.34 0.14
42 H -1.38 -1.00 -0.97
43 H -1.12 0.64 -1.72
44 H 2.12 1.07 -1.17
45 C -5.23 -0.61 -0.21
46 C -5.63 -1.37 1.02
47 C -7.13 -1.12 1.38
48 O -5.56 -2.74 0.77
49 H -5.55 0.44 -0.19
50 H -5.72 -1.04 -1.13
51 H -4.15 -0.55 -0.46
52 H -5.10 -1.12 1.97
53 H -7.38 -1.88 2.12
54 H -7.85 -1.13 0.58
55 H -7.32 -0.18 1.84
56 H -4.67 -2.97 0.54
57 C -1.97 -3.88 -0.09
58 C -1.96 -3.84 -1.62
59 C -3.03 -3.00 -2.32
60 O -0.64 -3.31 -1.86
61 H -1.71 -2.95 0.32
62 H -1.29 -4.66 0.21
63 H -3.01 -4.12 0.30
64 H -2.04 -4.85 -1.91
65 H -2.97 -3.04 -3.40
66 H -2.86 -1.98 -2.04
67 H -4.05 -3.25 -2.02
68 H -0.57 -3.11 -2.79
69 C 1.03 -4.00 -5.57
70 C 0.91 -2.47 -5.39
71 C 0.68 -1.74 -6.68
72 O -0.17 -2.21 -4.51
73 H 1.90 -4.30 -6.21
74 H 0.13 -4.34 -6.11
75 H 1.18 -4.42 -4.56
76 H 1.84 -2.13 -4.92
77 H -0.32 -1.94 -7.03
78 H 1.42 -2.19 -7.36
79 H 0.88 -0.70 -6.62
80 H -0.99 -2.42 -4.97
81 C -4.76 4.05 -1.21
82 C -4.30 3.58 0.19
83 C -5.31 3.44 1.26
84 O -3.63 2.25 0.09
85 H -4.04 3.78 -2.01
86 H -4.87 5.13 -1.03
87 H -5.76 3.78 -1.55
88 H -3.56 4.32 0.51
89 H -4.84 3.51 2.26
90 H -5.94 2.55 1.16
91 H -6.11 4.20 1.30
92 H -2.92 2.41 -0.54
93 C 3.44 -3.74 -2.67
94 C 3.82 -2.53 -1.83
95 C 5.24 -2.36 -1.33
96 O 3.49 -1.44 -2.75
97 H 3.97 -3.81 -3.66
98 H 2.36 -3.73 -2.90
99 H 3.68 -4.65 -2.09
100 H 3.23 -2.37 -0.91
101 H 5.53 -3.27 -0.79
102 H 5.25 -1.47 -0.69
103 H 5.92 -2.27 -2.17
104 H 3.80 -0.59 -2.37
105 C -2.80 0.92 5.00
106 C -3.64 0.93 3.73
107 C -5.05 1.34 3.93
108 O -2.96 1.65 2.72
109 H -2.49 1.89 5.30
110 H -1.94 0.30 4.82
111 H -3.41 0.62 5.83
112 H -3.58 -0.08 3.37
113 H -5.10 2.21 4.64
114 H -5.62 0.51 4.33
115 H -5.43 1.62 2.97
116 H -3.57 1.75 1.94
117 C -3.34 0.17 -5.07
118 C -2.98 0.83 -3.80
119 C -1.77 1.78 -3.88
120 O -4.01 1.63 -3.31
121 H -4.28 -0.33 -4.93
122 H -2.64 -0.57 -5.46
123 H -3.55 0.91 -5.81
124 H -2.64 0.20 -3.04
125 H -0.85 1.18 -4.06
126 H -1.59 2.30 -2.96
127 H -1.99 2.47 -4.69
128 H -4.82 1.08 -3.08
129 C 5.26 1.98 3.57
130 C 4.32 1.02 2.85
131 C 4.82 -0.43 2.69
132 O 3.12 0.89 3.67
133 H 6.25 1.96 3.17
134 H 5.26 1.65 4.57
135 H 4.95 3.08 3.52
136 H 4.07 1.41 1.86
137 H 5.70 -0.41 2.02
138 H 4.05 -1.04 2.24
139 H 4.97 -0.88 3.71
140 H 2.80 1.77 3.82
141 C -3.55 -3.94 3.49
142 C -4.43 -3.72 4.71
143 C -3.75 -3.10 5.91
144 O -5.55 -2.85 4.31
145 H -2.97 -3.08 3.14
146 H -4.14 -4.38 2.58
147 H -2.77 -4.69 3.69
148 H -4.89 -4.65 4.90
149 H -4.45 -2.69 6.65
150 H -3.14 -2.19 5.60
151 H -3.12 -3.84 6.45
152 H -5.58 -2.85 3.37
153 C 3.65 -4.77 1.57
154 C 2.29 -4.90 2.29
155 C 1.98 -3.75 3.23
156 O 1.15 -5.05 1.37
157 H 3.83 -3.80 1.20
158 H 3.77 -5.56 0.80
159 H 4.45 -4.98 2.31
160 H 2.36 -5.85 2.88
161 H 2.21 -2.77 2.78
162 H 2.54 -3.87 4.18
163 H 0.89 -3.86 3.46
164 H 0.99 -4.19 0.98
165 C 5.20 2.48 -3.37
166 C 3.89 2.30 -2.62
167 C 2.69 2.19 -3.50
168 O 3.86 1.10 -1.81
169 H 5.20 1.53 -3.98
170 H 6.11 2.48 -2.71
171 H 5.16 3.29 -4.13
172 H 3.81 3.14 -1.90
173 H 2.55 3.11 -4.12
174 H 1.72 1.96 -3.00
175 H 2.72 1.38 -4.23
+++
Request.
Now type out the notes further up from the line with "2.17 5.74" to the end exactly.
Reply.
15 H 2.17 5.74 1.34
16 H 2.74 6.60 -0.01
17 C 6.88 2.24 0.35
18 O 5.81 1.58 0.38
19 N 8.00 1.58 0.68
20 N 7.08 3.54 -0.13
21 H 7.92 0.85 1.35
22 H 8.88 2.10 0.72
23 H 6.21 4.07 -0.43
24 H 7.89 4.05 0.32
25 C 0.06 3.24 3.17
26 O 1.15 3.75 3.24
27 N -1.11 3.77 3.72
28 N -0.12 1.97 2.64
29 H -0.97 4.76 3.74
30 H -2.01 3.41 3.45
31 H 0.73 1.58 2.21
32 H -1.10 1.62 2.57
33 C 1.00 -1.26 0.19
34 C 0.67 -0.28 -0.88
35 C -0.85 -0.01 -0.89
36 O 1.31 0.99 -0.64
37 H 0.63 -2.23 -0.05
38 H 0.70 -1.01 1.24
39 H 2.05 -1.34 0.28
40 H 0.96 -0.68 -1.85
41 H -1.14 0.34 0.14
42 H -1.38 -1.00 -0.97
43 H -1.12 0.64 -1.72
44 H 2.12 1.07 -1.17
45 C -5.23 -0.61 -0.21
46 C -5.63 -1.37 1.02
47 C -7.13 -1.12 1.38
48 O -5.56 -2.74 0.77
49 H -5.55 0.44 -0.19
50 H -5.72 -1.04 -1.13
51 H -4.15 -0.55 -0.46
52 H -5.10 -1.12 1.97
53 H -7.38 -1.88 2.12
54 H -7.85 -1.13 0.58
55 H -7.32 -0.18 1.84
56 H -4.67 -2.97 0.54
57 C -1.97 -3.88 -0.09
58 C -1.96 -3.84 -1.62
59 C -3.03 -3.00 -2.32
60 O -0.64 -3.31 -1.86
61 H -1.71 -2.95 0.32
62 H -1.29 -4.66 0.21
63 H -3.01 -4.12 0.30
64 H -2.04 -4.85 -1.91
65 H -2.97 -3.04 -3.40
66 H -2.86 -1.98 -2.04
67 H -4.05 -3.25 -2.02
68 H -0.57 -3.11 -2.79
69 C 1.03 -4.00 -5.57
70 C 0.91 -2.47 -5.39
71 C 0.68 -1.74 -6.68
72 O -0.17 -2.21 -4.51
73 H 1.90 -4.30 -6.21
74 H 0.13 -4.34 -6.11
75 H 1.18 -4.42 -4.56
76 H 1.84 -2.13 -4.92
77 H -0.32 -1.94 -7.03
78 H 1.42 -2.19 -7.36
79 H 0.88 -0.70 -6.62
80 H -0.99 -2.42 -4.97
81 C -4.76 4.05 -1.21
82 C -4.30 3.58 0.19
83 C -5.31 3.44 1.26
84 O -3.63 2.25 0.09
85 H -4.04 3.78 -2.01
86 H -4.87 5.13 -1.03
87 H -5.76 3.78 -1.55
88 H -3.56 4.32 0.51
89 H -4.84 3.51 2.26
90 H -5.94 2.55 1.16
91 H -6.11 4.20 1.30
92 H -2.92 2.41 -0.54
93 C 3.44 -3.74 -2.67
94 C 3.82 -2.53 -1.83
95 C 5.24 -2.36 -1.33
96 O 3.49 -1.44 -2.75
97 H 3.97 -3.81 -3.66
98 H 2.36 -3.73 -2.90
99 H 3.68 -4.65 -2.09
100 H 3.23 -2.37 -0.91
101 H 5.53 -3.27 -0.79
102 H 5.25 -1.47 -0.69
103 H 5.92 -2.27 -2.17
104 H 3.80 -0.59 -2.37
105 C -2.80 0.92 5.00
106 C -3.64 0.93 3.73
107 C -5.05 1.34 3.93
108 O -2.96 1.65 2.72
109 H -2.49 1.89 5.30
110 H -1.94 0.30 4.82
111 H -3.41 0.62 5.83
112 H -3.58 -0.08 3.37
113 H -5.10 2.21 4.64
114 H -5.62 0.51 4.33
115 H -5.43 1.62 2.97
116 H -3.57 1.75 1.94
117 C -3.34 0.17 -5.07
118 C -2.98 0.83 -3.80
119 C -1.77 1.78 -3.88
120 O -4.01 1.63 -3.31
121 H -4.28 -0.33 -4.93
122 H -2.64 -0.57 -5.46
123 H -3.55 0.91 -5.81
124 H -2.64 0.20 -3.04
125 H -0.85 1.18 -4.06
126 H -1.59 2.30 -2.96
127 H -1.99 2.47 -4.69
128 H -4.82 1.08 -3.08
129 C 5.26 1.98 3.57
130 C 4.32 1.02 2.85
131 C 4.82 -0.43 2.69
132 O 3.12 0.89 3.67
133 H 6.25 1.96 3.17
134 H 5.26 1.65 4.57
135 H 4.95 3.08 3.52
136 H 4.07 1.41 1.86
137 H 5.70 -0.41 2.02
138 H 4.05 -1.04 2.24
139 H 4.97 -0.88 3.71
140 H 2.80 1.77 3.82
141 C -3.55 -3.94 3.49
142 C -4.43 -3.72 4.71
143 C -3.75 -3.10 5.91
144 O -5.55 -2.85 4.31
145 H -2.97 -3.08 3.14
146 H -4.14 -4.38 2.58
147 H -2.77 -4.69 3.69
148 H -4.89 -4.65 4.90
149 H -4.45 -2.69 6.65
150 H -3.14 -2.19 5.60
151 H -3.12 -3.84 6.45
152 H -5.58 -2.85 3.37
153 C 3.65 -4.77 1.57
154 C 2.29 -4.90 2.29
155 C 1.98 -3.75 3.23
156 O 1.15 -5.05 1.37
157 H 3.83 -3.80 1.20
158 H 3.77 -5.56 0.80
159 H 4.45 -4.98 2.31
160 H 2.36 -5.85 2.88
161 H 2.21 -2.77 2.78
162 H 2.54 -3.87 4.18
163 H 0.89 -3.86 3.46
164 H 0.99 -4.19 0.98
165 C 5.20 2.48 -3.37
166 C 3.89 2.30 -2.62
167 C 2.69 2.19 -3.50
168 O 3.86 1.10 -1.81
169 H 5.20 1.53 -3.98
170 H 6.11 2.48 -2.71
171 H 5.16 3.29 -4.13
172 H 3.81 3.14 -1.90
173 H 2.55 3.11 -4.12
174 H 1.72 1.96 -3.00
175 H 2.72 1.38 -4.23